What to do.
What is needed: reproduce all of the rows further down with every line break kept.

Listing.
<<<
Record 1
Entry from the Materials Project: an optimized crystal structure of SiO2 (GGA-PBE).

Energy in eV/atom: -7.90
Space group: Pmmn
Spin magnetization in μB per formula unit: 0.00

Cell: 7.0349 13.6812 22.4225 Å, 90.00 90.00 90.00°
Fractional positions:
O1 0.0429 0.5000 0.5735
Si1 0.5585 0.8873 0.1611
O2 0.1134 0.3164 0.1841
Si2 0.1222 0.3872 0.2421
Si3 0.8902 0.8857 0.9309
Si4 0.4415 0.3873 0.6611
Si5 0.1098 0.3857 0.5691
O3 0.6871 0.8613 0.2195
O4 0.4840 0.0000 0.1651
O5 0.9345 0.6292 0.2839
O6 0.0483 0.8173 0.1015
O7 0.3167 0.3720 0.6006
O8 0.3167 0.3720 0.3994
O9 0.3781 0.1856 0.8410
O10 0.6833 0.1280 0.1006
O11 0.3129 0.6387 0.7195
O12 0.0655 0.8708 0.7839
O13 0.5160 0.5000 0.3349
O14 0.3167 0.6280 0.6006
O15 0.6833 0.1280 0.8994
Si6 0.1512 0.2029 0.1653
O16 0.0429 0.5000 0.4265
O17 0.8744 0.0000 0.2805
O18 0.9517 0.6827 0.3985
O19 0.0483 0.1827 0.8985
Si7 0.8488 0.2971 0.3347
O20 0.3781 0.8144 0.1590
O21 0.8866 0.1836 0.6841
O22 0.8727 0.1480 0.0000
O23 0.3129 0.6387 0.2805
Si8 0.1098 0.6143 0.5691
O24 0.6871 0.8613 0.7805
O25 0.9517 0.6827 0.6015
O26 0.8866 0.8164 0.6841
O27 0.6219 0.3144 0.3410
Si9 0.8778 0.1128 0.7421
Si10 0.8902 0.1143 0.0691
O28 0.1273 0.6480 0.5000
O29 0.5160 0.5000 0.6651
Si11 0.1512 0.7971 0.8347
O30 0.1134 0.6836 0.8159
O31 0.6833 0.8720 0.1006
O32 0.0483 0.1827 0.1015
O33 0.9517 0.3173 0.6015
Si12 0.8488 0.7029 0.6653
O34 0.0655 0.8708 0.2161
Si13 0.8902 0.8857 0.0691
O35 0.9571 0.0000 0.9265
O36 0.3129 0.3613 0.7195
O37 0.0483 0.8173 0.8985
Si14 0.1098 0.6143 0.4309
Si15 0.4415 0.3873 0.3389
Si16 0.8488 0.2971 0.6653
O38 0.9517 0.3173 0.3985
O39 0.6871 0.1387 0.7805
Si17 0.8902 0.1143 0.9309
O40 0.8727 0.8520 0.0000
Si18 0.8488 0.7029 0.3347
O41 0.3781 0.1856 0.1590
O42 0.8866 0.8164 0.3159
O43 0.1256 0.5000 0.2195
O44 0.9571 0.0000 0.0735
Si19 0.1222 0.3872 0.7579
O45 0.8744 0.0000 0.7195
Si20 0.1512 0.7971 0.1653
O46 0.3781 0.8144 0.8410
O47 0.9345 0.6292 0.7161
O48 0.0655 0.1292 0.7839
O49 0.1273 0.3520 0.5000
Si21 0.1098 0.3857 0.4309
O50 0.3129 0.3613 0.2805
Si22 0.1512 0.2029 0.8347
Si23 0.8778 0.1128 0.2579
O51 0.9345 0.3708 0.7161
O52 0.6219 0.6856 0.3410
Si24 0.1222 0.6128 0.7579
Si25 0.8778 0.8872 0.2579
O53 0.6833 0.8720 0.8994
Si26 0.1222 0.6128 0.2421
O54 0.9345 0.3708 0.2839
O55 0.3167 0.6280 0.3994
Si27 0.5585 0.1127 0.1611
O56 0.6871 0.1387 0.2195
O57 0.1134 0.3164 0.8159
Si28 0.5585 0.8873 0.8389
O58 0.6219 0.6856 0.6590
O59 0.1256 0.5000 0.7805
O60 0.4840 0.0000 0.8349
Si29 0.4415 0.6127 0.3389
O61 0.0655 0.1292 0.2161
Si30 0.5585 0.1127 0.8389
O62 0.8866 0.1836 0.3159
Si31 0.8778 0.8872 0.7421
Si32 0.4415 0.6127 0.6611
O63 0.6219 0.3144 0.6590
O64 0.1134 0.6836 0.1841

=====

Record 2
Entry from the Materials Project: an optimized crystal structure of ScGe (GGA-PBE).

Energy in eV/atom: -6.31
Space group: Cmcm

Cell: 5.4550 5.4550 3.7814 Å, 90.00 90.00 136.52°
Fractional positions:
Ge1 0.5905 0.4095 0.7500
Sc1 0.1360 0.8640 0.2500
Ge2 0.4095 0.5905 0.2500
Sc2 0.8640 0.1360 0.7500

=====

Record 3
Entry from the Materials Project: an optimized crystal structure of Ti2ZnO4 (GGA-PBE).

Distance to the lowest polymorph of the same formula in kcal/mol of atoms: 1.920
Space group: Pbcm
Spin magnetization in μB per formula unit: 0.00

Cell: 2.9230 9.6095 10.1388 Å, 90.00 90.00 90.00°
Fractional positions:
O1 0.2589 0.7500 0.0000
O2 0.2229 0.2847 0.7500
Ti1 0.2404 0.1238 0.0698
O3 0.7771 0.7153 0.2500
O4 0.7437 0.9763 0.1139
O5 0.2563 0.4763 0.1139
Ti2 0.2404 0.3762 0.9302
O6 0.7411 0.2500 0.5000
O7 0.7411 0.2500 0.0000
Ti3 0.7596 0.6238 0.4302
Ti4 0.7596 0.8762 0.9302
O8 0.7771 0.7847 0.7500
O9 0.2229 0.2153 0.2500
O10 0.2563 0.0237 0.6139
Zn1 0.2790 0.8699 0.2500
O11 0.7437 0.5237 0.8861
Zn2 0.2790 0.6301 0.7500
Ti5 0.2404 0.1238 0.4302
Ti6 0.7596 0.8762 0.5698
Ti7 0.2404 0.3762 0.5698
O12 0.7437 0.5237 0.6139
O13 0.2563 0.0237 0.8861
O14 0.2563 0.4763 0.3861
O15 0.2589 0.7500 0.5000
Zn3 0.7210 0.1301 0.7500
Zn4 0.7210 0.3699 0.2500
Ti8 0.7596 0.6238 0.0698
>>>

Reply.
Record 1
Entry from the Materials Project: an optimized crystal structure of SiO2 (GGA-PBE).

Energy in eV/atom: -7.90
Space group: Pmmn
Spin magnetization in μB per formula unit: 0.00

Cell: 7.0349 13.6812 22.4225 Å, 90.00 90.00 90.00°
Fractional positions:
O1 0.0429 0.5000 0.5735
Si1 0.5585 0.8873 0.1611
O2 0.1134 0.3164 0.1841
Si2 0.1222 0.3872 0.2421
Si3 0.8902 0.8857 0.9309
Si4 0.4415 0.3873 0.6611
Si5 0.1098 0.3857 0.5691
O3 0.6871 0.8613 0.2195
O4 0.4840 0.0000 0.1651
O5 0.9345 0.6292 0.2839
O6 0.0483 0.8173 0.1015
O7 0.3167 0.3720 0.6006
O8 0.3167 0.3720 0.3994
O9 0.3781 0.1856 0.8410
O10 0.6833 0.1280 0.1006
O11 0.3129 0.6387 0.7195
O12 0.0655 0.8708 0.7839
O13 0.5160 0.5000 0.3349
O14 0.3167 0.6280 0.6006
O15 0.6833 0.1280 0.8994
Si6 0.1512 0.2029 0.1653
O16 0.0429 0.5000 0.4265
O17 0.8744 0.0000 0.2805
O18 0.9517 0.6827 0.3985
O19 0.0483 0.1827 0.8985
Si7 0.8488 0.2971 0.3347
O20 0.3781 0.8144 0.1590
O21 0.8866 0.1836 0.6841
O22 0.8727 0.1480 0.0000
O23 0.3129 0.6387 0.2805
Si8 0.1098 0.6143 0.5691
O24 0.6871 0.8613 0.7805
O25 0.9517 0.6827 0.6015
O26 0.8866 0.8164 0.6841
O27 0.6219 0.3144 0.3410
Si9 0.8778 0.1128 0.7421
Si10 0.8902 0.1143 0.0691
O28 0.1273 0.6480 0.5000
O29 0.5160 0.5000 0.6651
Si11 0.1512 0.7971 0.8347
O30 0.1134 0.6836 0.8159
O31 0.6833 0.8720 0.1006
O32 0.0483 0.1827 0.1015
O33 0.9517 0.3173 0.6015
Si12 0.8488 0.7029 0.6653
O34 0.0655 0.8708 0.2161
Si13 0.8902 0.8857 0.0691
O35 0.9571 0.0000 0.9265
O36 0.3129 0.3613 0.7195
O37 0.0483 0.8173 0.8985
Si14 0.1098 0.6143 0.4309
Si15 0.4415 0.3873 0.3389
Si16 0.8488 0.2971 0.6653
O38 0.9517 0.3173 0.3985
O39 0.6871 0.1387 0.7805
Si17 0.8902 0.1143 0.9309
O40 0.8727 0.8520 0.0000
Si18 0.8488 0.7029 0.3347
O41 0.3781 0.1856 0.1590
O42 0.8866 0.8164 0.3159
O43 0.1256 0.5000 0.2195
O44 0.9571 0.0000 0.0735
Si19 0.1222 0.3872 0.7579
O45 0.8744 0.0000 0.7195
Si20 0.1512 0.7971 0.1653
O46 0.3781 0.8144 0.8410
O47 0.9345 0.6292 0.7161
O48 0.0655 0.1292 0.7839
O49 0.1273 0.3520 0.5000
Si21 0.1098 0.3857 0.4309
O50 0.3129 0.3613 0.2805
Si22 0.1512 0.2029 0.8347
Si23 0.8778 0.1128 0.2579
O51 0.9345 0.3708 0.7161
O52 0.6219 0.6856 0.3410
Si24 0.1222 0.6128 0.7579
Si25 0.8778 0.8872 0.2579
O53 0.6833 0.8720 0.8994
Si26 0.1222 0.6128 0.2421
O54 0.9345 0.3708 0.2839
O55 0.3167 0.6280 0.3994
Si27 0.5585 0.1127 0.1611
O56 0.6871 0.1387 0.2195
O57 0.1134 0.3164 0.8159
Si28 0.5585 0.8873 0.8389
O58 0.6219 0.6856 0.6590
O59 0.1256 0.5000 0.7805
O60 0.4840 0.0000 0.8349
Si29 0.4415 0.6127 0.3389
O61 0.0655 0.1292 0.2161
Si30 0.5585 0.1127 0.8389
O62 0.8866 0.1836 0.3159
Si31 0.8778 0.8872 0.7421
Si32 0.4415 0.6127 0.6611
O63 0.6219 0.3144 0.6590
O64 0.1134 0.6836 0.1841

=====

Record 2
Entry from the Materials Project: an optimized crystal structure of ScGe (GGA-PBE).

Energy in eV/atom: -6.31
Space group: Cmcm

Cell: 5.4550 5.4550 3.7814 Å, 90.00 90.00 136.52°
Fractional positions:
Ge1 0.5905 0.4095 0.7500
Sc1 0.1360 0.8640 0.2500
Ge2 0.4095 0.5905 0.2500
Sc2 0.8640 0.1360 0.7500

=====

Record 3
Entry from the Materials Project: an optimized crystal structure of Ti2ZnO4 (GGA-PBE).

Distance to the lowest polymorph of the same formula in kcal/mol of atoms: 1.920
Space group: Pbcm
Spin magnetization in μB per formula unit: 0.00

Cell: 2.9230 9.6095 10.1388 Å, 90.00 90.00 90.00°
Fractional positions:
O1 0.2589 0.7500 0.0000
O2 0.2229 0.2847 0.7500
Ti1 0.2404 0.1238 0.0698
O3 0.7771 0.7153 0.2500
O4 0.7437 0.9763 0.1139
O5 0.2563 0.4763 0.1139
Ti2 0.2404 0.3762 0.9302
O6 0.7411 0.2500 0.5000
O7 0.7411 0.2500 0.0000
Ti3 0.7596 0.6238 0.4302
Ti4 0.7596 0.8762 0.9302
O8 0.7771 0.7847 0.7500
O9 0.2229 0.2153 0.2500
O10 0.2563 0.0237 0.6139
Zn1 0.2790 0.8699 0.2500
O11 0.7437 0.5237 0.8861
Zn2 0.2790 0.6301 0.7500
Ti5 0.2404 0.1238 0.4302
Ti6 0.7596 0.8762 0.5698
Ti7 0.2404 0.3762 0.5698
O12 0.7437 0.5237 0.6139
O13 0.2563 0.0237 0.8861
O14 0.2563 0.4763 0.3861
O15 0.2589 0.7500 0.5000
Zn3 0.7210 0.1301 0.7500
Zn4 0.7210 0.3699 0.2500
Ti8 0.7596 0.6238 0.0698